# Job
Please print everything further below unchanged.

# Listing
The following is a GGA-PBEsol calculation of crystalline YZnPb at its relaxed geometry, from Alexandria.

Results
ΔH_f (0 K) = 5 kJ/mol of formula units
DFT total energy = -12.35 eV/cell
Total magnetic moment = 0.00 μB per cell
Density of states at the Fermi level = 0.66 states/eV/atom
SG = F-43m (216)

Cell lengths 4.899, 4.899, 4.899 Å; angles 60.00, 60.00, 60.00 degrees
Fractional positions:
Y: 0.000 0.000 0.000
Zn: 0.750 0.750 0.750
Pb: 0.250 0.250 0.250


The following is a GGA-PBEsol calculation of crystalline SrZrFeS2 at its relaxed geometry, from Alexandria.

Results
DFT total energy = -21.35 eV/cell
Total magnetic moment = 1.87 μB per cell
Density of states at the Fermi level = 1.41 states/eV/atom
E_form (uncorrected) = 1.46 eV/atom
SG = P4/mmm (123)

Cell lengths 5.210, 5.210, 5.628 Å; angles 90.00, 90.00, 90.00 degrees
Fractional positions:
Sr: 0.000 0.000 0.000
Zr: 0.000 0.000 0.500
Fe: 0.500 0.500 0.500
S: 0.000 0.500 0.000
S: 0.500 0.000 0.000


The following is a GGA-PBEsol calculation of crystalline InCuW2 at its relaxed geometry, from Alexandria.

Results
ΔH_f (0 K) = 192 kJ/mol of formula units
DFT total energy = -32.94 eV/cell
Total magnetic moment = 0.00 μB per cell
Density of states at the Fermi level = 0.42 states/eV/atom
SG = Cm (8)

Cell lengths 4.836, 4.836, 5.076 Å; angles 96.46, 96.46, 32.63 degrees
Fractional positions:
In: 0.000 0.000 0.000
Cu: 0.249 0.249 0.779
W: 0.509 0.509 0.510
W: 0.754 0.754 0.296


The following is a GGA-PBEsol calculation of crystalline CsMoN2 at its relaxed geometry, from Alexandria.

Results
DFT total energy = -64.05 eV/cell
Total magnetic moment = 0.00 μB per cell
Density of states at the Fermi level = 0.34 states/eV/atom
E_form (uncorrected) = -0.57 eV/atom
SG = Fd-3m (227)

Cell lengths 6.116, 6.116, 6.116 Å; angles 60.00, 60.00, 60.00 degrees
Fractional positions:
Cs: 0.125 0.125 0.125
Cs: 0.875 0.875 0.875
Mo: 0.375 0.375 0.375
Mo: 0.625 0.625 0.625
N: 0.000 0.500 0.500
N: 0.500 0.000 0.500
N: 0.500 0.500 0.000
N: 0.500 0.500 0.500


The following is a GGA-PBEsol calculation of crystalline SrLi2Ag at its relaxed geometry, from Alexandria.

Results
ΔH_f (0 K) = -27 kJ/mol of formula units
DFT total energy = -9.37 eV/cell
Total magnetic moment = 0.00 μB per cell
Density of states at the Fermi level = 0.42 states/eV/atom
SG = Immm (71)

Cell lengths 6.040, 6.040, 6.040 Å; angles 144.05, 128.97, 64.00 degrees
Fractional positions:
Sr: 0.000 0.000 0.000
Li: 0.293 0.793 0.500
Li: 0.707 0.207 0.500
Ag: 0.500 0.500 0.000


The following is a GGA-PBEsol calculation of crystalline CsMnAs at its relaxed geometry, from Alexandria.

Results
ΔH_f (0 K) = -70 kJ/mol of formula units
DFT total energy = -33.08 eV/cell
Total magnetic moment = 3.95 μB per cell
Density of states at the Fermi level = 0.77 states/eV/atom
SG = P4/nmm (129)

Cell lengths 3.863, 3.863, 12.212 Å; angles 90.00, 90.00, 90.00 degrees
Fractional positions:
Cs: 0.250 0.250 0.212
Cs: 0.750 0.750 0.788
Mn: 0.250 0.750 0.500
Mn: 0.750 0.250 0.500
As: 0.250 0.250 0.614
As: 0.750 0.750 0.386


The following is a GGA-PBEsol calculation of crystalline ZrAl3W at its relaxed geometry, from Alexandria.

Results
ΔH_f (0 K) = 907 kJ/mol of formula units
DFT total energy = -25.77 eV/cell
Total magnetic moment = 2.63 μB per cell
Density of states at the Fermi level = 0.34 states/eV/atom
SG = Pm-3m (221)

Cell lengths 4.852, 4.852, 4.852 Å; angles 90.00, 90.00, 90.00 degrees
Fractional positions:
Zr: 0.000 0.000 0.000
Al: 0.000 0.000 0.500
Al: 0.000 0.500 0.000
Al: 0.500 0.000 0.000
W: 0.500 0.500 0.500


The following is a GGA-PBEsol calculation of crystalline Tl2CrCuTe at its relaxed geometry, from Alexandria.

Results
DFT total energy = -19.67 eV/cell
Total magnetic moment = 4.58 μB per cell

# Reply
The following is a GGA-PBEsol calculation of crystalline YZnPb at its relaxed geometry, from Alexandria.

Results
ΔH_f (0 K) = 5 kJ/mol of formula units
DFT total energy = -12.35 eV/cell
Total magnetic moment = 0.00 μB per cell
Density of states at the Fermi level = 0.66 states/eV/atom
SG = F-43m (216)

Cell lengths 4.899, 4.899, 4.899 Å; angles 60.00, 60.00, 60.00 degrees
Fractional positions:
Y: 0.000 0.000 0.000
Zn: 0.750 0.750 0.750
Pb: 0.250 0.250 0.250


The following is a GGA-PBEsol calculation of crystalline SrZrFeS2 at its relaxed geometry, from Alexandria.

Results
DFT total energy = -21.35 eV/cell
Total magnetic moment = 1.87 μB per cell
Density of states at the Fermi level = 1.41 states/eV/atom
E_form (uncorrected) = 1.46 eV/atom
SG = P4/mmm (123)

Cell lengths 5.210, 5.210, 5.628 Å; angles 90.00, 90.00, 90.00 degrees
Fractional positions:
Sr: 0.000 0.000 0.000
Zr: 0.000 0.000 0.500
Fe: 0.500 0.500 0.500
S: 0.000 0.500 0.000
S: 0.500 0.000 0.000


The following is a GGA-PBEsol calculation of crystalline InCuW2 at its relaxed geometry, from Alexandria.

Results
ΔH_f (0 K) = 192 kJ/mol of formula units
DFT total energy = -32.94 eV/cell
Total magnetic moment = 0.00 μB per cell
Density of states at the Fermi level = 0.42 states/eV/atom
SG = Cm (8)

Cell lengths 4.836, 4.836, 5.076 Å; angles 96.46, 96.46, 32.63 degrees
Fractional positions:
In: 0.000 0.000 0.000
Cu: 0.249 0.249 0.779
W: 0.509 0.509 0.510
W: 0.754 0.754 0.296


The following is a GGA-PBEsol calculation of crystalline CsMoN2 at its relaxed geometry, from Alexandria.

Results
DFT total energy = -64.05 eV/cell
Total magnetic moment = 0.00 μB per cell
Density of states at the Fermi level = 0.34 states/eV/atom
E_form (uncorrected) = -0.57 eV/atom
SG = Fd-3m (227)

Cell lengths 6.116, 6.116, 6.116 Å; angles 60.00, 60.00, 60.00 degrees
Fractional positions:
Cs: 0.125 0.125 0.125
Cs: 0.875 0.875 0.875
Mo: 0.375 0.375 0.375
Mo: 0.625 0.625 0.625
N: 0.000 0.500 0.500
N: 0.500 0.000 0.500
N: 0.500 0.500 0.000
N: 0.500 0.500 0.500


The following is a GGA-PBEsol calculation of crystalline SrLi2Ag at its relaxed geometry, from Alexandria.

Results
ΔH_f (0 K) = -27 kJ/mol of formula units
DFT total energy = -9.37 eV/cell
Total magnetic moment = 0.00 μB per cell
Density of states at the Fermi level = 0.42 states/eV/atom
SG = Immm (71)

Cell lengths 6.040, 6.040, 6.040 Å; angles 144.05, 128.97, 64.00 degrees
Fractional positions:
Sr: 0.000 0.000 0.000
Li: 0.293 0.793 0.500
Li: 0.707 0.207 0.500
Ag: 0.500 0.500 0.000


The following is a GGA-PBEsol calculation of crystalline CsMnAs at its relaxed geometry, from Alexandria.

Results
ΔH_f (0 K) = -70 kJ/mol of formula units
DFT total energy = -33.08 eV/cell
Total magnetic moment = 3.95 μB per cell
Density of states at the Fermi level = 0.77 states/eV/atom
SG = P4/nmm (129)

Cell lengths 3.863, 3.863, 12.212 Å; angles 90.00, 90.00, 90.00 degrees
Fractional positions:
Cs: 0.250 0.250 0.212
Cs: 0.750 0.750 0.788
Mn: 0.250 0.750 0.500
Mn: 0.750 0.250 0.500
As: 0.250 0.250 0.614
As: 0.750 0.750 0.386


The following is a GGA-PBEsol calculation of crystalline ZrAl3W at its relaxed geometry, from Alexandria.

Results
ΔH_f (0 K) = 907 kJ/mol of formula units
DFT total energy = -25.77 eV/cell
Total magnetic moment = 2.63 μB per cell
Density of states at the Fermi level = 0.34 states/eV/atom
SG = Pm-3m (221)

Cell lengths 4.852, 4.852, 4.852 Å; angles 90.00, 90.00, 90.00 degrees
Fractional positions:
Zr: 0.000 0.000 0.000
Al: 0.000 0.000 0.500
Al: 0.000 0.500 0.000
Al: 0.500 0.000 0.000
W: 0.500 0.500 0.500


The following is a GGA-PBEsol calculation of crystalline Tl2CrCuTe at its relaxed geometry, from Alexandria.

Results
DFT total energy = -19.67 eV/cell
Total magnetic moment = 4.58 μB per cell